**What to do**
Repeat all of the calculation results further down without altering anything.

**Input**
/*
(1)
Entry from Alexandria: crystalline Tl2FeP at its relaxed geometry (PBE).

Structure (CIF):
```
data_Tl2FeP
_space_group_name_H-M_alt 'F -4 3 m'
_space_group_IT_number 216
_space_group_name_Hall 'F -4 2 3'
_cell_length_a 7.0461
_cell_length_b 7.0461
_cell_length_c 7.0461
_cell_angle_alpha 90.00
_cell_angle_beta 90.00
_cell_angle_gamma 90.00
loop_
_atom_site_label
_atom_site_type_symbol
_atom_site_fract_x
_atom_site_fract_y
_atom_site_fract_z
Tl1 Tl 0.0000 0.0000 0.0000
Tl2 Tl 0.2500 0.2500 0.2500
Fe1 Fe 0.0000 0.0000 0.5000
P1 P 0.2500 0.2500 0.7500
```

Computed properties:
The value obtained for the total energy is -3.922 eV per atom. For the excess energy over the best structure of this formula in the dataset, the calculation gives 2.511 eV per formula unit. The calculation puts the formation energy at 0.729 eV per atom. For the density of states at the Fermi level, the calculation gives 14.76 states/eV/cell. Its crystal system is cubic.

(2)
Entry from Alexandria: crystalline Tl2FeP at its relaxed geometry (PBE).

Structure (CIF):
```
data_Tl2FeP
_space_group_name_H-M_alt 'I m m 2'
_space_group_IT_number 44
_cell_length_a 3.1641
_cell_length_b 4.4722
_cell_length_c 12.9639
_cell_angle_alpha 90.00
_cell_angle_beta 90.00
_cell_angle_gamma 90.00
loop_
_space_group_symop_operation_xyz
'x,y,z'
'-x,-y,z'
'-x,y,z'
'x,-y,z'
'x+1/2,y+1/2,z+1/2'
'-x+1/2,-y+1/2,z+1/2'
'-x+1/2,y+1/2,z+1/2'
'x+1/2,-y+1/2,z+1/2'
loop_
_atom_site_label
_atom_site_type_symbol
_atom_site_fract_x
_atom_site_fract_y
_atom_site_fract_z
Tl1 Tl 0.0000 0.0000 0.0000
Tl2 Tl 0.0000 0.5000 0.2069
Fe1 Fe 0.0000 0.5000 0.7643
P1 P 0.0000 0.0000 0.3828
```

Computed properties:
The value obtained for the total energy is -4.375 eV per atom. For the excess energy over the best structure of this formula in the dataset, the calculation gives 0.700 eV per formula unit. The calculation puts the formation energy at 0.276 eV per atom. For the density of states at the Fermi level, the calculation gives 6.32 states/eV/cell. Its crystal system is orthorhombic.

~~~~~

No. 1
A relaxed structure of SrCa5Mn4Ga2O16, computed with PBEsol.

a = 5.333 Å, b = 10.961 Å, c = 5.504 Å
α = 90.00°, β = 90.04°, γ = 90.00°
Space group Pm (No. 6)
Asymmetric unit:
Sr 0.000 0.000 0.000 [1 per cell]
Ca 0.486 0.307 0.470 [2 per cell]
Ca 0.504 0.000 0.487 [1 per cell]
Ca 0.984 0.309 0.027 [2 per cell]
Mn 0.497 0.171 0.991 [2 per cell]
Mn 0.998 0.171 0.503 [2 per cell]
Ga 0.445 0.500 0.924 [1 per cell]
Ga 0.945 0.500 0.571 [1 per cell]
O 0.025 0.354 0.430 [2 per cell]
O 0.092 0.500 0.881 [1 per cell]
O 0.241 0.197 0.756 [2 per cell]
O 0.253 0.155 0.252 [2 per cell]
O 0.499 0.000 0.925 [1 per cell]
O 0.525 0.354 0.065 [2 per cell]
O 0.593 0.500 0.614 [1 per cell]
O 0.743 0.196 0.742 [2 per cell]
O 0.744 0.155 0.251 [2 per cell]
O 0.998 0.000 0.549 [1 per cell]

## Properties
**Uncorrected formation energy**: -2369.6 meV per atom
**DOS(E_F)**: 0.11 states/eV/atom

---

No. 2
A relaxed structure of CrSbMo2, computed with PBEsol.

a = 6.253 Å, b = 6.253 Å, c = 6.253 Å
α = 90.00°, β = 90.00°, γ = 90.00°
Space group F-43m (No. 216)
Asymmetric unit:
Cr 0.000 0.000 0.000 [4 per cell]
Sb 0.250 0.250 0.750 [4 per cell]
Mo 0.000 0.000 0.500 [4 per cell]
Mo 0.250 0.250 0.250 [4 per cell]

## Properties
**Uncorrected formation energy**: 301.0 meV per atom
**DOS(E_F)**: 0.97 states/eV/atom

~~~~~

# 1
Entry from Alexandria via LeMat-Bulk: a relaxed structure of PuNp2Ga9 (PBE-GGA).

```
12
Lattice="4.242 0.000 0.000 0.000 4.242 0.000 0.000 0.000 12.746" Properties=species:S:1:pos:R:3 pbc="T T T"
Pu 0.000 0.000 0.000
Np 0.000 0.000 4.230
Np 0.000 0.000 8.515
Ga 0.000 2.121 2.088
Ga 0.000 2.121 6.373
Ga 0.000 2.121 10.658
Ga 2.121 0.000 2.088
Ga 2.121 0.000 6.373
Ga 2.121 0.000 10.658
Ga 2.121 2.121 0.000
Ga 2.121 2.121 4.228
Ga 2.121 2.121 8.518
```

Properties
- energy above the lowest structure with this stoichiometry (kJ/mol of formula units) = 73.1
- magnetic moment (μB per atom) = 0.662
*/

**Worked solution**
(1)
Entry from Alexandria: crystalline Tl2FeP at its relaxed geometry (PBE).

Structure (CIF):
```
data_Tl2FeP
_space_group_name_H-M_alt 'F -4 3 m'
_space_group_IT_number 216
_space_group_name_Hall 'F -4 2 3'
_cell_length_a 7.0461
_cell_length_b 7.0461
_cell_length_c 7.0461
_cell_angle_alpha 90.00
_cell_angle_beta 90.00
_cell_angle_gamma 90.00
loop_
_atom_site_label
_atom_site_type_symbol
_atom_site_fract_x
_atom_site_fract_y
_atom_site_fract_z
Tl1 Tl 0.0000 0.0000 0.0000
Tl2 Tl 0.2500 0.2500 0.2500
Fe1 Fe 0.0000 0.0000 0.5000
P1 P 0.2500 0.2500 0.7500
```

Computed properties:
The value obtained for the total energy is -3.922 eV per atom. For the excess energy over the best structure of this formula in the dataset, the calculation gives 2.511 eV per formula unit. The calculation puts the formation energy at 0.729 eV per atom. For the density of states at the Fermi level, the calculation gives 14.76 states/eV/cell. Its crystal system is cubic.

(2)
Entry from Alexandria: crystalline Tl2FeP at its relaxed geometry (PBE).

Structure (CIF):
```
data_Tl2FeP
_space_group_name_H-M_alt 'I m m 2'
_space_group_IT_number 44
_cell_length_a 3.1641
_cell_length_b 4.4722
_cell_length_c 12.9639
_cell_angle_alpha 90.00
_cell_angle_beta 90.00
_cell_angle_gamma 90.00
loop_
_space_group_symop_operation_xyz
'x,y,z'
'-x,-y,z'
'-x,y,z'
'x,-y,z'
'x+1/2,y+1/2,z+1/2'
'-x+1/2,-y+1/2,z+1/2'
'-x+1/2,y+1/2,z+1/2'
'x+1/2,-y+1/2,z+1/2'
loop_
_atom_site_label
_atom_site_type_symbol
_atom_site_fract_x
_atom_site_fract_y
_atom_site_fract_z
Tl1 Tl 0.0000 0.0000 0.0000
Tl2 Tl 0.0000 0.5000 0.2069
Fe1 Fe 0.0000 0.5000 0.7643
P1 P 0.0000 0.0000 0.3828
```

Computed properties:
The value obtained for the total energy is -4.375 eV per atom. For the excess energy over the best structure of this formula in the dataset, the calculation gives 0.700 eV per formula unit. The calculation puts the formation energy at 0.276 eV per atom. For the density of states at the Fermi level, the calculation gives 6.32 states/eV/cell. Its crystal system is orthorhombic.

~~~~~

No. 1
A relaxed structure of SrCa5Mn4Ga2O16, computed with PBEsol.

a = 5.333 Å, b = 10.961 Å, c = 5.504 Å
α = 90.00°, β = 90.04°, γ = 90.00°
Space group Pm (No. 6)
Asymmetric unit:
Sr 0.000 0.000 0.000 [1 per cell]
Ca 0.486 0.307 0.470 [2 per cell]
Ca 0.504 0.000 0.487 [1 per cell]
Ca 0.984 0.309 0.027 [2 per cell]
Mn 0.497 0.171 0.991 [2 per cell]
Mn 0.998 0.171 0.503 [2 per cell]
Ga 0.445 0.500 0.924 [1 per cell]
Ga 0.945 0.500 0.571 [1 per cell]
O 0.025 0.354 0.430 [2 per cell]
O 0.092 0.500 0.881 [1 per cell]
O 0.241 0.197 0.756 [2 per cell]
O 0.253 0.155 0.252 [2 per cell]
O 0.499 0.000 0.925 [1 per cell]
O 0.525 0.354 0.065 [2 per cell]
O 0.593 0.500 0.614 [1 per cell]
O 0.743 0.196 0.742 [2 per cell]
O 0.744 0.155 0.251 [2 per cell]
O 0.998 0.000 0.549 [1 per cell]

## Properties
**Uncorrected formation energy**: -2369.6 meV per atom
**DOS(E_F)**: 0.11 states/eV/atom

---

No. 2
A relaxed structure of CrSbMo2, computed with PBEsol.

a = 6.253 Å, b = 6.253 Å, c = 6.253 Å
α = 90.00°, β = 90.00°, γ = 90.00°
Space group F-43m (No. 216)
Asymmetric unit:
Cr 0.000 0.000 0.000 [4 per cell]
Sb 0.250 0.250 0.750 [4 per cell]
Mo 0.000 0.000 0.500 [4 per cell]
Mo 0.250 0.250 0.250 [4 per cell]

## Properties
**Uncorrected formation energy**: 301.0 meV per atom
**DOS(E_F)**: 0.97 states/eV/atom

~~~~~

# 1
Entry from Alexandria via LeMat-Bulk: a relaxed structure of PuNp2Ga9 (PBE-GGA).

```
12
Lattice="4.242 0.000 0.000 0.000 4.242 0.000 0.000 0.000 12.746" Properties=species:S:1:pos:R:3 pbc="T T T"
Pu 0.000 0.000 0.000
Np 0.000 0.000 4.230
Np 0.000 0.000 8.515
Ga 0.000 2.121 2.088
Ga 0.000 2.121 6.373
Ga 0.000 2.121 10.658
Ga 2.121 0.000 2.088
Ga 2.121 0.000 6.373
Ga 2.121 0.000 10.658
Ga 2.121 2.121 0.000
Ga 2.121 2.121 4.228
Ga 2.121 2.121 8.518
```

Properties
- energy above the lowest structure with this stoichiometry (kJ/mol of formula units) = 73.1
- magnetic moment (μB per atom) = 0.662